**Input:**
____________
1.
W5I16 after structural relaxation. Source: Materials Project, functional PBE.

Summary:
final energy	-369.15	eV per cell
calculated formation energy	-0.437	eV per atom

Structure (CIF):
```
data_W5I16
_symmetry_space_group_name_H-M 'P 1'
_symmetry_Int_Tables_number 1
_symmetry_space_group_name_Hall 'P 1'
_cell_length_a 30.270
_cell_length_b 10.823
_cell_length_c 10.759
_cell_angle_alpha 90.00
_cell_angle_beta 90.00
_cell_angle_gamma 90.00
loop_
_atom_site_label
_atom_site_fract_x
_atom_site_fract_y
_atom_site_fract_z
W1 0.066 0.100 0.176
W2 0.096 0.332 0.178
W3 0.123 0.175 0.000
W4 0.148 0.014 0.177
W5 0.179 0.243 0.181
W6 0.321 0.743 0.681
W7 0.352 0.514 0.677
W8 0.377 0.675 0.500
W9 0.404 0.832 0.678
W10 0.434 0.600 0.676
W11 0.566 0.400 0.176
W12 0.596 0.168 0.178
W13 0.623 0.325 0.000
W14 0.648 0.486 0.177
W15 0.679 0.257 0.181
W16 0.821 0.757 0.681
W17 0.852 0.986 0.677
W18 0.877 0.825 0.500
W19 0.904 0.668 0.678
W20 0.934 0.900 0.676
I1 0.018 0.010 0.677
I2 0.036 0.263 0.988
I3 0.041 0.257 0.366
I4 0.053 0.564 0.178
I5 0.062 0.558 0.681
I6 0.091 0.932 0.986
I7 0.091 0.937 0.363
I8 0.127 0.187 0.730
I9 0.145 0.678 0.683
I10 0.153 0.407 0.366
I11 0.156 0.420 0.997
I12 0.181 0.767 0.181
I13 0.205 0.080 0.365
I14 0.210 0.077 0.997
I15 0.221 0.255 0.695
I16 0.235 0.850 0.685
I17 0.265 0.350 0.185
I18 0.279 0.755 0.195
I19 0.290 0.577 0.497
I20 0.295 0.580 0.865
I21 0.319 0.267 0.681
I22 0.344 0.920 0.497
I23 0.347 0.907 0.866
I24 0.355 0.178 0.183
I25 0.373 0.687 0.230
I26 0.409 0.432 0.486
I27 0.409 0.437 0.863
I28 0.438 0.058 0.181
I29 0.447 0.064 0.678
I30 0.459 0.757 0.866
I31 0.464 0.763 0.488
I32 0.482 0.510 0.177
I33 0.518 0.490 0.677
I34 0.536 0.237 0.988
I35 0.541 0.243 0.366
I36 0.553 0.936 0.178
I37 0.562 0.942 0.681
I38 0.591 0.563 0.363
I39 0.591 0.568 0.986
I40 0.627 0.313 0.730
I41 0.645 0.822 0.683
I42 0.653 0.093 0.366
I43 0.656 0.080 0.997
I44 0.681 0.733 0.181
I45 0.705 0.420 0.365
I46 0.710 0.423 0.997
I47 0.721 0.245 0.695
I48 0.735 0.650 0.685
I49 0.765 0.150 0.185
I50 0.779 0.745 0.195
I51 0.790 0.923 0.497
I52 0.795 0.920 0.865
I53 0.819 0.233 0.681
I54 0.844 0.580 0.497
I55 0.847 0.593 0.866
I56 0.855 0.322 0.183
I57 0.873 0.813 0.230
I58 0.909 0.063 0.863
I59 0.909 0.068 0.486
I60 0.938 0.442 0.181
I61 0.947 0.436 0.678
I62 0.959 0.743 0.866
I63 0.964 0.737 0.488
I64 0.982 0.990 0.177
```

2.
CaAl2Sb2 after structural relaxation. Source: Materials Project, functional PBE.

Summary:
final energy	-19.12	eV per cell
calculated formation energy	-0.349	eV per atom

Structure (CIF):
```
data_CaAl2Sb2
_symmetry_space_group_name_H-M 'P 1'
_symmetry_Int_Tables_number 1
_symmetry_space_group_name_Hall 'P 1'
_cell_length_a 5.036
_cell_length_b 5.036
_cell_length_c 6.020
_cell_angle_alpha 90.00
_cell_angle_beta 90.00
_cell_angle_gamma 120.00
loop_
_atom_site_label
_atom_site_fract_x
_atom_site_fract_y
_atom_site_fract_z
Ca1 0.000 0.000 0.000
Al1 0.333 0.667 0.719
Al2 0.667 0.333 0.281
Sb1 0.333 0.667 0.258
Sb2 0.667 0.333 0.742
```

3.
HgCSNCl after structural relaxation. Source: Materials Project, functional PBE.

Summary:
final energy	-94.86	eV per cell
calculated formation energy	-0.196	eV per atom

Structure (CIF):
```
data_HgCSNCl
_symmetry_space_group_name_H-M 'P 1'
_symmetry_Int_Tables_number 1
_symmetry_space_group_name_Hall 'P 1'
_cell_length_a 10.919
_cell_length_b 4.412
_cell_length_c 10.262
_cell_angle_alpha 90.00
_cell_angle_beta 90.00
_cell_angle_gamma 90.00
loop_
_atom_site_label
_atom_site_fract_x
_atom_site_fract_y
_atom_site_fract_z
Hg1 0.138 0.250 0.093
Hg2 0.362 0.750 0.593
Hg3 0.638 0.250 0.407
Hg4 0.862 0.750 0.907
C1 0.155 0.750 0.382
C2 0.345 0.250 0.882
C3 0.655 0.750 0.118
C4 0.845 0.250 0.618
S1 0.145 0.750 0.544
S2 0.355 0.250 0.044
S3 0.645 0.750 0.956
S4 0.855 0.250 0.456
N1 0.154 0.750 0.267
N2 0.346 0.250 0.767
N3 0.654 0.750 0.233
N4 0.846 0.250 0.733
Cl1 0.078 0.750 0.874
Cl2 0.422 0.250 0.374
Cl3 0.578 0.750 0.626
Cl4 0.922 0.250 0.126
```

4.
____________

**Activity:**
Now retype only the lines further up with the word "I61" in them.

**Solution:**
I61 0.947 0.436 0.678